Record 1
The following is a quantum chemistry calculation of a single C8H12 molecule at a distorted geometry, from OMol25.

Cartesian coordinates (Å):
C 1.2587 0.4069 -0.6327
H 2.9420 -0.6171 -1.5201
H 2.9657 -0.6407 0.2852
C -2.1753 -0.1750 -0.2742
H 1.0012 0.9601 -1.5382
H -0.4104 2.7128 0.3386
C 0.3208 0.0989 0.2271
H 1.4195 -1.2713 1.5827
H 0.2590 -0.1331 2.3242
H -2.2371 2.4498 0.0664
C -2.0308 -1.4377 -0.6900
C 2.6967 -0.0582 -0.5932
H -3.1583 0.2866 -0.3556
C -1.2424 2.0171 0.2041
C -1.0340 0.7062 0.0509
H 3.3074 0.8233 -0.6186
H -2.9203 -1.8934 -1.1151
C 0.4763 -0.7518 1.4255
H -1.1042 -1.9972 -0.6106
H -0.3345 -1.4861 1.4438

Atomic forces in eV per Å
C 1.39 -0.46 -1.13
H -0.12 0.12 0.56
H -0.08 -0.04 -0.09
C 0.63 -0.26 -0.61
H -0.04 0.15 0.36
H -0.27 -0.26 0.16
C -0.86 0.48 0.08
H 0.02 0.17 -0.28
H 0.32 -0.28 -0.35
H 0.28 -0.17 0.11
C -0.74 0.46 0.22
C -0.53 -0.20 -0.67
H 0.18 0.05 0.08
C 0.17 0.28 -0.47
C -0.53 -0.05 0.62
H 0.60 0.48 0.07
H 0.27 -0.43 0.20
C -0.77 -0.04 1.44
H -0.09 0.14 -0.28
H 0.17 -0.13 -0.02

- molar mass (g/mol) = 108.184
- orbital gap (Ha) = 0.3612
- relative energy (zero: lowest compared OMol25 entry of this formula, charge and spin) (kJ/mol) = 69.9
- HOMO (eV) = -8.79
- SMILES = C=CC(=C)/C(C)=C/C
- maximum force (eV/Å) = 1.85
- LUMO level (eV) = 1.04

Record 2
The following is a quantum chemistry calculation of a single C8H12 molecule at a distorted geometry, from OMol25.

Cartesian coordinates (Å):
C -1.8637 -1.1020 0.2044
H 0.7829 0.8009 1.9282
H 2.4501 -2.3269 -0.7980
H 2.8248 -1.3340 0.7439
C 0.8608 -0.9263 -0.0828
H -1.9451 -2.1270 0.5575
H 0.1391 0.8097 -2.2951
H 1.6387 1.6146 -1.6396
H -0.6944 1.4736 1.4129
C -0.5863 -0.6476 -0.0231
C 0.3382 1.4557 1.2135
H -0.0138 2.2583 -1.6212
H -3.9393 -0.3138 0.3617
H 1.6846 -2.6854 0.6796
C 0.3295 0.5862 -0.1046
C 0.5796 1.3399 -1.4077
H 0.8105 2.4139 0.9771
H -2.5560 0.8101 -0.2829
C -2.8823 -0.2186 0.0849
C 2.0422 -1.8813 0.0911

Atomic forces in eV per Å
C -2.78 0.00 0.50
H 0.71 0.24 0.94
H 0.26 0.37 -0.59
H -0.93 -0.92 -1.36
C -6.25 2.19 0.37
H -0.40 0.09 -0.10
H 0.95 -0.44 0.77
H -0.72 -0.46 0.46
H -1.29 0.93 0.74
C 9.87 -0.34 -1.17
C 0.78 -1.33 -2.78
H 0.34 0.05 1.18
H 0.60 -0.42 -0.24
H -0.30 -0.99 0.69
C 0.57 -1.51 -0.04
C -1.08 0.49 -1.99
H -0.12 -0.16 0.75
H -0.71 -1.36 0.54
C 0.73 1.20 -0.22
C -0.22 2.37 1.57

- molar mass (g/mol) = 108.184
- orbital gap (Ha) = 0.3045
- relative energy (zero: lowest compared OMol25 entry of this formula, charge and spin) (kJ/mol) = 339.5
- HOMO (eV) = -7.73
- SMILES = C=CC1=C(C)C1(C)C
- maximum force (eV/Å) = 9.94
- LUMO level (eV) = 0.55

Record 3
The following is a quantum chemistry calculation of a single C8H12 molecule at a distorted geometry, from OMol25.

Cartesian coordinates (Å):
H 0.2648 0.2550 1.4045
C 1.1176 1.3359 -0.1344
H 0.2258 2.3043 -1.8664
H 1.1463 -2.3121 -0.8999
H -2.8333 -1.7371 1.6300
C 0.9008 -0.0888 -0.6487
H -1.2131 -2.2824 -0.6601
H 1.2355 -1.5484 0.7741
C 0.8620 -1.6104 -0.2033
H -1.1321 -1.4984 2.4261
H 1.7597 2.7068 -1.3531
H 0.4228 3.3764 -0.3861
H -2.0152 0.1532 -0.4042
C 0.0904 0.5027 0.3665
C 0.8206 2.4684 -0.9130
C -1.6872 -1.3731 1.4121
C -0.7824 -1.7052 0.0803
H 0.3246 -0.0095 -1.7289
C -1.3520 -0.2107 0.4332
H 1.8444 1.2734 0.6714

Atomic forces in eV per Å
H 1.47 -0.56 0.26
C 0.78 -1.58 1.98
H 0.07 -0.26 1.50
H 0.95 -1.70 -1.10
H 3.02 0.87 -1.31
C -1.64 -1.97 -3.80
H -1.42 -0.86 -1.32
H 1.54 -1.07 1.13
C -3.25 3.70 1.70
H -0.75 0.76 -1.89
H 0.99 1.19 -0.52
H 0.34 -1.07 -0.24
H -0.09 -0.59 1.55
C -5.29 -2.13 4.12
C -0.03 3.11 -3.28
C 0.84 -0.41 0.49
C -0.04 2.44 2.17
H 1.23 -0.08 2.64
C 0.71 -1.21 -3.66
H 0.58 1.40 -0.41

- molar mass (g/mol) = 108.184
- orbital gap (Ha) = 0.3512
- relative energy (zero: lowest compared OMol25 entry of this formula, charge and spin) (kJ/mol) = 610.2
- HOMO (eV) = -8.42
- SMILES = C[C@@H]1[C@H]2C[C@H]3C[C@H]3[C@H]12
- maximum force (eV/Å) = 7.03
- LUMO level (eV) = 1.14

Record 4

Please filter the contents further above: keep the lines with the word "distorted".

The following is a quantum chemistry calculation of a single C8H12 molecule at a distorted geometry, from OMol25.
The following is a quantum chemistry calculation of a single C8H12 molecule at a distorted geometry, from OMol25.
The following is a quantum chemistry calculation of a single C8H12 molecule at a distorted geometry, from OMol25.